Wow... where to start....
38 here, and in the middle, or late stages or whatever of a splitup. 14 years. Son, 8.
Anyways... I get a ton more attention now from women than I EVER got in my life. I'm not a looker by any means, not hot, none of those things. But... let's just say I'm at a position in my life where I guess my "status" may seem attractive to alot of girls/women? I'm told I look younger than I am... I guess maybe I can see that.
I've dated a number of women in the last 11 months since I left home, all of them very pretty, some inexorably "hotter" than others. In fact, the one I am currently in the process of withdrawing from is probably the "hottest" of the bunch... 31, very slim, sexy, toned, half-Japanese, smoking hot face, beautiful augmented... ummm...
headlights, long black and blonde hair (tasteful), several tattoos (which I love), one of which is a very nice full left leg piece - and she has great, long, toned beautiful legs, highly educated, Vegan, opinionated and... she likes girls.
Yeah... you read that right.
So... we've been dating for maybe 4-5 months? She spends every weekend at my house when I'm not with my son. We also happen to work together, although only once every few weeks. But, when we do, I am her "superior." Then again, I kinda am everyone's superior at work. :/ But it's not awkward, and we were friends before we started dating and I am sure will be after.
Matter of fact, was just perusing the Girls & Zs thread and was thinking how well she would fit in with some of those pics... she is a ridiculously attractive girl.
But... it's just not there for me. Ya know? Physically, things are great (ya know what I mean?), and we get along just fine, share a number of interests and enjoy spending time together.
But I'm just not into a full-time relationship right now. At least not with her, somehow? And I don't think it's fair to keep her hanging on - she told me she loved me a long time ago, said it a few times over the course of a week or two... and I had some of those, "Ummmm.... thanks," kinda responses.

Yeah... I'm an ***, I guess.
I treat her well, dote on her, always open doors for both buildings AND at the car, always pay for EVERYTHING, have even given her money... gave her a grand last month, because she was a little short on funds and her baby-daddy hadn't come through. No need to pay me back, I just gave it to her and forgot about it. She didn't ask, by the way, even refused it, till I got a cashier's check in her name so no one else could cash it but her.
So this last weekend I told her I needed to ease things off a bit... her response was, "Oh my God, are you breaking up with me???" Like a real SHOCKER. I understand, she is way hotter than me, outta my league. But... it is what it is.
So she says she still wants to come hang out sometimes when she's in town, and we'll just be friends and have fun together and have sex.
Between two parts of the entry: calculated molecules.
-- begin --
# C5H10O2

An isolated molecule of C5H10O2 (ωB97M-V with the def2-TZVPD basis set, OMol25).

```
! wB97M-V def2-TZVPD RIJCOSX def2/J DEFGRID3
* xyz 0 1
C -0.35499 1.26727 0.31848
O -1.19655 -0.96350 -0.39069
H -0.76469 2.15386 0.81808
C -0.63602 -0.92778 -1.67695
H -2.02388 0.11091 1.08211
H 1.12447 -1.15338 0.22601
C 1.46874 -0.38826 0.91669
H -2.26776 0.79266 -0.54238
H -0.02278 1.62339 -0.66769
H 0.38113 -0.50276 -1.67100
C -1.53274 0.30655 0.12414
H -1.24907 -0.34431 -2.38013
O 2.60748 -0.68733 1.61163
H 2.96065 -1.52435 1.29206
C 0.82970 0.76481 1.10931
H 1.25363 1.43397 1.85631
H -0.57731 -1.96176 -2.02599
*
```

**M**: 102.1 g mol⁻¹
**Highest occupied orbital energy**: -8.6 eV
**Structure (SMILES)**: COCC/C=C/O
**Maximum force**: 0.46 eV/Å
**Electronic energy**: -9440.66678 eV
**Kohn-Sham gap**: 9.40 eV
**Relative energy (zero: lowest compared OMol25 entry of this formula, charge and spin)**: 54.80 kcal per mole

* * * * *

1.
C35H30AsCrN7S4Sb | ωB97M-V/def2-TZVPD

Geometry as ORCA input:
```
! RIJCOSX wB97M-V def2-TZVPD def2/J DEFGRID3
* xyz -1 5
Cr -0.096 1.561 -2.180
N -3.992 0.002 -1.521
C -2.945 0.839 -1.611
N -1.782 0.459 -1.998
C -1.559 -0.874 -2.418
N -0.414 -1.200 -2.959
N 0.403 -0.143 -3.056
C 1.640 -0.206 -3.550
C 2.391 1.002 -3.486
C 3.707 1.139 -3.977
C 4.327 2.362 -3.921
C 3.651 3.463 -3.373
C 2.377 3.267 -2.875
N 1.767 2.084 -2.902
C -2.628 -1.840 -2.237
C -2.484 -3.204 -2.484
C -3.531 -4.078 -2.245
C -4.748 -3.601 -1.770
C -4.916 -2.246 -1.537
C -3.862 -1.373 -1.765
H -4.882 0.385 -1.250
H -3.122 1.880 -1.347
H 2.038 -1.113 -3.988
H 4.201 0.271 -4.397
H 5.331 2.481 -4.311
H 4.095 4.448 -3.342
H 1.815 4.077 -2.420
H -1.532 -3.557 -2.859
H -3.400 -5.138 -2.425
H -5.563 -4.285 -1.571
H -5.861 -1.861 -1.170
S -3.948 4.291 -2.089
Sb -1.690 4.425 -2.407
S -0.525 3.279 -0.638
S -1.037 2.689 -3.961
S -0.702 6.418 -2.840
C 4.172 -0.384 0.579
N 3.470 0.829 0.189
C 4.133 2.117 0.362
C 2.218 0.791 -0.193
N 1.129 0.809 -0.562
H 4.361 -0.384 1.655
H 5.123 -0.443 0.046
H 3.566 -1.252 0.330
H 4.408 2.263 1.409
H 3.462 2.915 0.054
H 5.029 2.154 -0.259
C -4.086 -1.791 4.408
C -4.030 -2.238 3.093
C -3.168 -1.631 2.190
C -2.339 -0.582 2.587
C -2.419 -0.126 3.900
C -3.287 -0.728 4.805
As -1.131 0.187 1.213
C 0.178 0.955 2.432
C 0.206 2.268 2.875
C 1.252 2.698 3.686
C 2.268 1.815 4.038
C 2.251 0.504 3.577
C 1.207 0.068 2.766
C 1.098 -1.268 2.138
C 1.975 -2.331 2.328
C 1.787 -3.518 1.632
C 0.728 -3.645 0.738
C -0.160 -2.590 0.557
C 0.015 -1.411 1.264
H -4.754 -2.267 5.116
H -4.658 -3.059 2.768
H -3.139 -1.982 1.162
H -1.799 0.701 4.224
H -3.336 -0.366 5.825
H -0.564 2.962 2.563
H 1.282 3.724 4.030
H 3.086 2.154 4.663
H 3.055 -0.172 3.848
H 2.804 -2.245 3.023
H 2.469 -4.347 1.782
H 0.591 -4.567 0.186
H -0.980 -2.693 -0.145
*
```

Output
**Gap between HOMO and LUMO (spin up / spin down)**: 5.32 / 5.97 eV
**⟨S²⟩**: 6.103
**HOMO level (spin up / spin down)**: -3.266 / -4.216 eV


2.
C4H8N2O2S | ωB97M-V/def2-TZVPD

Geometry as ORCA input:
```
-- stop --
Ummm.... hmmm.
**Between two parts of the text: calculated molecules:**
┌──
1.
Computed, not measured: a 5-piece molecular cluster, C38H68F4IN5O11S overall, with ωB97M-V/def2-TZVPD.

**Structure (SMILES)**: CC(=O)OCCC[C@H](O[C@H](Cc1cccc(C)c1)C(F)(F)C(F)F)[C@@H](CCCCO)N(I)CCCCS(=O)(=O)O.CN(C)C=O.CN(C)C=O.CN(C)C=O.CN(C)C=O
**HOMO**: -8.52 eV
**2S+1**: 1
**E_tot**: -3685.35773 Ha

Cartesian coordinates (Å):
C1 -0.097 2.418 2.703
C2 -0.432 1.009 2.126
O1 -1.341 0.311 2.483
O2 0.430 0.506 1.145
C3 0.033 0.962 -0.189
C4 1.369 1.107 -1.030
C5 1.743 -0.183 -1.822
C6 0.922 -0.413 -3.183
O3 0.641 0.894 -3.691
C7 0.915 1.063 -5.073
C8 2.437 0.956 -5.490
C9 3.445 1.322 -4.369
C10 4.551 0.375 -4.114
C11 5.576 0.598 -3.124
C12 5.534 1.804 -2.272
C13 4.451 2.739 -2.524
C14 4.361 4.034 -1.650
C15 3.432 2.523 -3.565
C16 0.197 2.370 -5.579
F1 1.023 3.242 -6.265
F2 -0.799 1.999 -6.496
C17 -0.537 3.221 -4.485
F3 -1.627 2.610 -3.901
F4 0.287 3.689 -3.475
C18 -0.404 -1.276 -2.856
C19 -1.739 -0.442 -2.940
C20 -2.433 -0.357 -4.335
C21 -3.819 0.418 -4.355
C22 -4.383 0.810 -2.944
O4 -5.507 1.695 -3.139
N1 -0.440 -2.610 -3.457
I1 -0.089 -2.759 -5.449
C23 0.202 -3.653 -2.624
C24 -0.906 -4.138 -1.560
C25 -0.427 -4.065 -0.053
C26 -0.945 -2.826 0.769
S1 -2.767 -2.760 0.978
O5 -3.500 -3.712 0.158
O6 -3.098 -2.975 2.389
O7 -3.263 -1.205 0.661
H1 -0.206 3.158 1.871
H2 0.950 2.453 3.109
H3 -0.848 2.640 3.506
H4 -0.643 0.167 -0.586
H5 -0.497 1.954 -0.098
H6 1.405 2.062 -1.614
H7 2.168 1.236 -0.242
H8 1.690 -1.086 -1.150
H9 2.834 -0.095 -2.096
H10 1.655 -1.002 -3.807
H11 0.400 0.211 -5.611
H12 2.608 -0.136 -5.719
H13 2.699 1.500 -6.430
H14 4.587 -0.548 -4.749
H15 6.394 -0.143 -3.008
H16 6.329 1.943 -1.511
H17 5.005 3.962 -0.731
H18 4.534 4.977 -2.221
H19 3.303 4.061 -1.253
H20 2.653 3.299 -3.722
H21 -0.940 4.134 -5.011
H22 -0.292 -1.482 -1.751
H23 -1.533 0.554 -2.459
H24 -2.468 -0.950 -2.238
H25 -2.649 -1.395 -4.716
H26 -1.701 0.101 -5.058
H27 -4.566 -0.217 -4.909
H28 -3.692 1.353 -4.959
H29 -3.627 1.380 -2.341
H30 -4.792 -0.081 -2.390
H31 -5.477 2.046 -4.042
H32 0.569 -4.531 -3.216
H33 1.029 -3.207 -1.993
H34 -1.326 -5.143 -1.818
H35 -1.774 -3.424 -1.649
H36 0.682 -4.117 0.079
H37 -0.846 -4.978 0.459
H38 -0.517 -2.923 1.806
H39 -0.609 -1.827 0.395
H40 -2.444 -0.689 0.501
C27 -6.681 0.393 4.526
N2 -5.407 1.010 4.217
C28 -4.236 0.166 4.055
C29 -5.273 2.348 4.074
O8 -4.233 2.926 3.815
H41 -6.597 -0.151 5.469
H42 -6.946 -0.303 3.727
H43 -7.464 1.146 4.617
H44 -3.479 0.459 4.786
H45 -3.826 0.307 3.055
H46 -4.497 -0.882 4.199
H47 -6.220 2.895 4.216
C30 -1.377 -3.452 7.425
N3 -0.601 -3.205 6.228
C31 -1.280 -2.752 5.027
C32 0.741 -3.385 6.195
O9 1.451 -3.196 5.220
H48 -2.122 -4.224 7.218
H49 -1.883 -2.529 7.722
H50 -0.735 -3.785 8.241
H51 -1.108 -3.471 4.224
H52 -0.870 -1.786 4.725
H53 -2.349 -2.655 5.205
H54 1.155 -3.728 7.156
C33 0.863 8.489 -5.196
N4 1.641 7.907 -4.122
C34 0.950 7.279 -3.010
C35 2.996 7.928 -4.120
O10 3.702 7.457 -3.250
H55 0.219 9.273 -4.790
H56 0.245 7.713 -5.655
H57 1.513 8.921 -5.956
H58 1.229 7.784 -2.083
H59 1.257 6.233 -2.945
└──
**End of the calculated molecules:**
What did I do wrong????